Marx-Engels Subject Archive


On the Trade Unions

Source of references: Marx and Engels on the Trade Unions. Edited with an introduction and notes by Kenneth Lapides, Published by Praeger 1987;
Transcribed: Andy Blunden;
Only about 50 of the excerpts are transcribed from this book. The remaining 70-odd references are to the texts transcribed from other sources.

The Trade unions and Revolution

News from France, in The Northern Star, Engels, June 15 1844;
Labour Movements, from The Condition of the Working Class in England, Engels, 1845;
On the General Srike of 1842, from The Condition of the Working Class in England;
On the Miners Srike of 1845, from The Condition of the Working Class in England;
An English Turnout, in Das Westphaälische Dampfboot, Engels 1846;
The Condemnation of the Paris Carpenters, in The Northern Star, Engels, September 1845;
On Workers Disturbances, Fighting for wages, & Association, from The German Ideology, 1845;
Strikes and Combinations of Workers, from Poverty of Philosophy, Marx, 1847;
On Workers Associations, from Wages, Marx, 1847;
The real fruits of their Labour, from The Communist Manifesto, Marx & Engels, 1848;

Anatomy of a Strike Wave

The First Farm Workers Strike, Marx, 8 Febuary 1853;
General System of Strikes, Marx, June 17 1853;
The Value of Strikes, Marx, July 1 1853;
On the Labour Contract, Marx, July 29 1853;
A Universal Combination against Capital, Marx, August 23 1853;
The Battle Continues, Marx, August 30, 1853;
On Strikes and the Value of Labour, Marx September 27 1853;
On the Employers Anti-Labour League, in New-York Tribune, Marx, October 7, 1853;
Lock-out vs Turn-out, Marx, November 1 1853;
The Wigan Riots, Marx, November 4, 1853;
Industrial Distress, Marx, December 2, 1853;
Troubles at Preston, Marx, March 31 1854;
Only the Beginning, Marx, August 1, 1854;

Trade Unions and the First International

London Building Workers Lockout, Marx, August 20 1859;
The Colliers, from Results of Immediate Process of Production, Marx, 1864;
On Founding of the International, Letter to Engels, Marx, Nov 4 1864;
On Importance of the International, Letter to Kugelmann, Marx, Nov 29 1864;
Right of Combination, Letter to Engels, Marx, Feb 18 1865;
On Weston, Letter to Engels, Marx, May 20 1865;
Progress of the International, Letter to Kugelmann, Marx, Jan 15 1866;
A Warning, Marx, May 4 1866
Trade Unions, Their Past, Present and Future, Marx, August 1866
London Trades Council, Letter to Kugelmann, Marx, Oct 13 1866;
Paris Bronze Workers Strike, Letter to Engels, Marx, Apr 2 1867;
The Fourth Annual Report of the General Council Marx, Sep 1 1868
Connections between the IWMA and English Working Men's Association Marx, Oct 17 1868
Feminine Ferment, Letter to Kugelmann, Marx, Dec 12 1868;
Belgian Massacres Marx, May 4 1869
National Prejudices, Letter to Engels, Marx, Aug 18 1869;
Continental Strikes Marx, September 1869
Miners' Guilds in the Coalfields of Saxony, Marx Feb 21 1869;
Obituary for Robert Shaw, Marx, January 8 1870;
Anti-Irish Prejudice, Letter to Sigfrid Meyer and August Vogt, Marx 9 Apr 1870;
The Lock-out of the Building Trades at Geneva, Marx, 5 July 1870;
To the Spanish Federal Council of the International, Engels, February 13 1871;
Engels to Cafiero, 16 July 1871;
Interview with New York World, Marx July 18 1871;
Trade Unions Held Aloof Marx, August 8 1871
An Aristocratic Minority Marx, September 20 1871
On Trade Unions and the International Marx, October 31 1871
Fictitious Splits in the International, Marx & Engels Mar 5 1872;
Historic Event, Capital, Volume I;

The Political Economy of Labour

Wages, Hours and Trade Union Struggle, Marx, Wages, Prices and Profit, 1865;
The Struggle between capital and labour and its results, Marx, Wages, Prices and Profit, 1865;
Trade Unions and the Unemployed, Capital, 1867;
The Working Day, Capital, 1867;
Strife between Workman and Machine, Capital, 1867;
Bloody legislation against the Expropriated, Capital, 1867;
On Wages and Prices, Capital, Volume II;
Lassalle's Iron Law of Wages, Letter to Bebel, Marx, Mar 18 1875;
The Wages System, Engels in Labour Standard, 21 May 1881;
The Trade Unions, Engels in Labour Standard, 28 May 1881;
The Wages Theory of the Anti-Corn Law League, Engels in Labour Standard, July 9 1881.

Socialist Sectarians

Worker must Walk by Himself, Letter to Schweitzer, Marx, Oct 13 1868;
On Becker's Proposal, Engels to Marx, Jul 30 1869;
Marx to Paul and Laura Lafargue, April 19 1870;
On Political and Economic Movements, Marx, Letter to Bolte Nov 23 1871;
Fictitious Splits in the International, Marx & Engels Mar 5 1872;
Political Indifferentism, Marx in Almanacco Repubblicano per l'anno, January 1873;
On Bakunin's General Strike, from Bakuninists at work,Marx, 1873;
Engels to Bebel, October 15 1875;

The Labour Aristocracy

On Reform Bill of 1867, Engels February 22 1874;
Marx to Kugelmann, May 18 1874;
Marx to Sorge August 4 1874;
On the Trade Unions and the Party, Letter to Bebel, Marx, Mar 18 1875;
On the Venal Trade Union Leaders, Letter to Liebknecht, Marx, Feb 11 1878;
On the German Movement, Engels, March 3 1878;
Engels to Bernstein, June 17 1879;
Trades Unions, part 2, Engels in Labour Standard, June 4 1881;
Political Nullity of English Workers, Letter to Liebknecht, Engels, Aug 30 1883;
England in 1845 and 1885, Engels, March 1 1885;
Engels to Gertrud Guillaume-Schack, c. 5 July;
On their traditional superstition, Engels to August Bebel Oct 28 1885;

The Rise of Labour in the United States

These records of crystals were left in the text by mistake:
=====
Diffraction record for Nd3WN4. The X-ray diffraction stick pattern is theoretical, not measured: it uses DFT lattice parameters and positions (PBE) and Cu Kα, 1.54184 Å.

Cell and atoms:
```
data_Nd3WN4
_chemical_formula_sum 'Nd6 W2 N8'
_space_group_name_H-M_alt 'P m n 21'
_space_group_IT_number 31
_cell_length_a 7.8406
_cell_length_b 6.9571
_cell_length_c 5.3104
_cell_angle_alpha 90.00
_cell_angle_beta 90.00
_cell_angle_gamma 90.00
loop_
_space_group_symop_operation_xyz
'x,y,z'
'-x+1/2,-y,z+1/2'
'-x,y,z'
'x+1/2,-y,z+1/2'
loop_
_atom_site_label
_atom_site_type_symbol
_atom_site_fract_x
_atom_site_fract_y
_atom_site_fract_z
Nd1 Nd 0.0000 0.1537 0.0000
Nd2 Nd 0.2427 0.3427 0.5071
W1 W 0.0000 0.8284 0.4430
N1 N 0.0000 0.1079 0.4947
N2 N 0.0000 0.8257 0.0841
N3 N 0.2146 0.7016 0.5050
```

Principal peaks in the range 10° ≤ 2θ ≤ 90°, sorted by position:
hkl, 2θ/deg, I/Imax
2 1 0, 26.1, 44.9
0 2 1, 30.7, 60.2
2 1 1, 31.1, 100.0
0 0 2, 33.8, 35.8
2 3 0, 45.4, 33.1
4 2 1, 56.6, 22.4
2 3 2, 57.8, 27.6
4 0 2, 58.5, 21.9


Diffraction record for Na2Bi3Pd3. The X-ray diffraction stick pattern is theoretical, not measured: it uses DFT lattice parameters and positions (PBE) and Cu Kα, 1.54184 Å.

Cell and atoms:
```
data_Na2Bi3Pd3
_chemical_formula_sum 'Na2 Bi3 Pd3'
_space_group_name_H-M_alt 'P -6 2 m'
_space_group_IT_number 189
_space_group_name_Hall 'P -6 -2'
_cell_length_a 8.1108
_cell_length_b 8.1108
_cell_length_c 3.2685
_cell_angle_alpha 90.00
_cell_angle_beta 90.00
_cell_angle_gamma 120.00
loop_
_atom_site_label
_atom_site_type_symbol
_atom_site_fract_x
_atom_site_fract_y
_atom_site_fract_z
Na1 Na 0.3333 0.6667 0.0000
Bi1 Bi 0.0000 0.2598 0.0000
Pd1 Pd 0.0000 0.6743 0.5000
```

Principal peaks in the range 10° ≤ 2θ ≤ 90°, sorted by position:
hkl, 2θ/deg, I/Imax
1 0 0, 12.6, 29.2
1 1 0, 21.9, 44.7
2 0 0, 25.4, 13.5
2 1 0, 33.8, 37.7
1 1 1, 35.3, 100.0
3 0 0, 38.4, 32.7
2 1 1, 43.9, 43.8
3 2 1, 64.5, 17.7


Diffraction record for YHo5Al4. The X-ray diffraction stick pattern is theoretical, not measured: it uses DFT lattice parameters and positions (PBE) and Cu Kα, 1.54184 Å.

Cell and atoms:
```
data_YHo5Al4
_chemical_formula_sum 'Y1 Ho5 Al4'
_space_group_name_H-M_alt 'P 4/m m m'
_space_group_IT_number 123
_space_group_name_Hall '-P 4 2'
_cell_length_a 3.5621
_cell_length_b 3.5621
_cell_length_c 19.5955
_cell_angle_alpha 90.00
_cell_angle_beta 90.00
_cell_angle_gamma 90.00
loop_
_atom_site_label
_atom_site_type_symbol
_atom_site_fract_x
_atom_site_fract_y
_atom_site_fract_z
Y1 Y 0.0000 0.0000 0.0000
Ho1 Ho 0.5000 0.5000 0.1291
Ho2 Ho 0.5000 0.5000 0.3152
Ho3 Ho 0.5000 0.5000 0.5000
Al1 Al 0.0000 0.0000 0.2219
Al2 Al 0.0000 0.0000 0.4075
```

Principal peaks in the range 10° ≤ 2θ ≤ 90°, sorted by position:
hkl, 2θ/deg, I/Imax
0 0 5, 22.7, 21.0
1 0 0, 25.0, 58.5
1 0 5, 34.0, 100.0
1 1 0, 35.6, 64.6
1 0 6, 37.4, 22.7
2 0 0, 51.3, 29.7
1 0 11, 57.9, 29.8
2 1 5, 63.0, 33.5

~~~~~
=====

Marx to Engels, 25 July 1877;
An Epoch-Making Event, Engels, 22 January 1878;
On the Movement in America, interview with Marx The Chicago Tribune, Jan 5 1879;
On Real Mass Movement, Letter to Sorge, Engels, Apr 29 1886;
Engels to Laura Lafargue, May 23 1886;
No Other Road, Letter to Kelley-Wischnewetzky, Engels, Dec 28 1886;
Preface to American edition of Condition of Working Class in England, 1887;
Appendix to the American Edition of Condition of Working Class in England, 1886;
On the Quarrel with Gompers, Letter to Schluter, Engels, Jan 29 1891;
On American Exceptionalism, Preface to English edition of Condition of Working Class, 1892;
On Immigrants, Letter to Schluter, Engels, Mar 30 1892;

Outcast London and the Great Dock Strike

Interview in New Yorker Volkszeitung, Engels September 20 1888;
Engels to Bernstein, August 22 1889;
If They Can Combine..., Engels, August 26 1889;
Engels to Laura Lafargue, August 27 1889;
Engels to Laura Lafargue, September 1 1889;
Engels to Laura Lafargue, October 17 1889;
On the New unionism, Engels to Sorge, December 7 1889;
On Craft Exclusiveness, Engels to Schluter, Jan 11 1890;
Engels to Laura Lafargue, May 10 1890;
May 4 in London, Engels, May 23 1890;
Engels to Laura Lafargue, January 31 1891;
Engels to Sorge, February 11 1891;
Preface to Brentano vs Marx, Engels 1891;
Engels to Bebel, May 1-2 1891;
On Ireland, Engels to Sorge August 9-11 1891;
Bourgeois Labor Party, Engels to Sorge, September 14 1891;
On Ireland, Engels to Liebknecht December 2 1891;
More on New Unionism, Preface to English edition of Condition of Working Class in England, 1892;
Engels to Laura Lafargue, May 3 1892;
Engels to Laura Lafargue, September 11 1892;
Engels to Sorge, May 17 1893;
On the Social-Democratic Federation, interview with Marx The Daily Chronicle, July 1 1893;
Engels to Plekhanov, May 21 1894;



Letters on Organisation